Excerpt:
Computed, not measured: a 2-piece molecular cluster, C4H10O4S overall, with ωB97M-V/def2-TZVPD.

Values from the calculation:
- E (Ha) = -857.3407
- gap between HOMO and LUMO (spin up / spin down) (eV) = 5.21 / 7.84
- LUMO (spin up / spin down) (eV) = 0.780 / -2.779
- highest occupied orbital energy (spin up / spin down) (eV) = -4.43 / -10.62
- spin multiplicity = 3
- molecular weight (g mol⁻¹) = 154.19

```
19
C4H10O4S ωB97M-V/def2-TZVPD
C -2.7432 -1.3454 0.5960
C 4.1276 0.9518 -0.1846
C -2.8817 -0.0435 -0.1222
C 2.5577 0.8382 -0.1127
O -0.5011 -0.3660 -1.3844
O -0.4632 0.5518 0.8510
O 1.9111 0.7500 -1.1153
O 2.0871 0.9565 1.0487
S -1.2320 0.7163 -0.3865
H -2.3342 -1.2444 1.5312
H -3.6554 -2.0973 0.6131
H -1.9261 -1.9120 0.1557
H 4.4070 1.8209 0.2588
H 4.4118 0.8987 -1.1486
H 4.5866 0.0406 0.3333
H -3.5637 0.7912 0.1980
H -3.3263 -0.0618 -1.1726
H 0.4172 -0.0102 -1.2493
H 1.0944 0.8611 1.0670
```

~~~~~

No. 1
15
Properties=species:S:1:pos:R:3 method="wB97M-V/def2-TZVPD" molar_mass_g_mol=100.121 homo_ha=-0.24193
C -0.78758 -0.13778 0.21614
N -1.01568 -0.68769 1.39760
N -1.73467 -0.01447 -0.69825
C 1.22457 -0.39225 -1.26689
C 0.60234 0.27400 -0.06773
C 1.36963 0.71847 0.99399
O 2.41402 -0.36360 -1.50450
H -2.64442 -0.44126 -0.62230
H -1.93570 -0.92707 1.73385
H -0.19430 -0.72997 2.00093
H -1.45017 0.50249 -1.53273
H 0.51811 -0.97595 -1.88992
H 0.25975 1.05305 -1.37402
H 2.43956 0.77065 0.85523
H 0.93453 1.35137 1.75861

=====

No. 2
14
Properties=species:S:1:pos:R:3 method="wB97M-V/def2-TZVPD" total_charge=+1 molar_mass_g_mol=71.123 s2=0.7538 multiplicity=2 homo_ha="-0.49413 / -0.49208"
C 2.10778 0.03913 -1.22045
N 2.12129 -1.14105 -1.64818
H 2.47027 0.89178 -1.78811
H 1.62281 0.34473 -0.28297
H 1.58171 -1.77687 -1.06329
C -2.04574 -0.53428 0.36705
C -1.51370 0.82809 0.72712
C -0.50156 0.91876 1.65386
H -2.62177 -0.88838 1.22950
H -1.22934 -1.22686 0.17454
H -2.73386 -0.43774 -0.46820
H -2.11191 1.74320 0.64128
H -0.38056 1.63972 2.45625
H 0.33209 0.25179 1.40929

=====

No. 3
90
Properties=species:S:1:pos:R:3 method="wB97M-V/def2-TZVPD" molar_mass_g_mol=558.764 s2=2.0082 multiplicity=3 homo_ha="-0.28972 / -0.30574"
C 4.59849 -0.00442 0.59204
C 3.11628 -0.18834 0.25539
C 2.87386 0.26621 -1.17684
N 1.52291 0.03432 -1.71812
C 0.41503 0.08359 -0.86854
C -0.40471 -1.05220 -0.79213
C -1.54174 -1.09898 -0.01302
N -2.31891 -2.30573 -0.01865
C -1.88362 0.00832 0.75524
C -1.08890 1.13860 0.70988
C 0.05152 1.21033 -0.10952
C 0.79329 2.48538 -0.17239
O 1.58221 2.77769 -1.04061
C 0.49685 3.50963 0.89417
O 1.40503 4.51334 0.98204
C -0.57851 3.42227 1.67371
C -1.50314 2.29719 1.55319
O -2.56824 2.29434 2.13787
H 4.99339 0.84622 0.03184
H 5.18386 -0.86849 0.28300
H 4.76966 0.21114 1.64376
H 2.52384 0.40535 0.95351
H 2.83589 -1.23590 0.37334
H 3.55491 -0.29591 -1.81829
H 3.15546 1.31211 -1.26515
H 1.52056 -0.87754 -2.15425
H -0.15265 -1.94184 -1.35471
H -2.57335 -2.55693 0.92977
H -3.19198 -2.14461 -0.50869
H -2.76054 0.01260 1.38693
H 1.03731 5.34314 0.66068
H -0.79844 4.18273 2.41014
C 8.95374 -3.16434 -2.51449
C 7.43027 -3.42516 -2.40013
C 7.00456 -4.73324 -3.08962
C 6.83155 -4.66380 -4.60549
C 5.97051 -3.46740 -4.99795
C 6.52032 -2.15234 -4.45075
N 6.64616 -2.27465 -2.95813
O 5.52246 -2.10678 -2.36750
C 7.85163 -1.81861 -5.13748
C 5.56411 -1.00477 -4.75018
C 7.11049 -3.55042 -0.91466
H 9.19639 -2.32908 -3.16031
H 9.36664 -2.91378 -1.53751
H 9.48555 -4.04138 -2.88492
H 6.05216 -5.05201 -2.65563
H 7.73483 -5.50154 -2.82902
H 7.80134 -4.62762 -5.10848
H 6.34964 -5.58197 -4.94618
H 5.89268 -3.38641 -6.08448
H 4.95533 -3.61482 -4.61669
H 8.28591 -0.90876 -4.72095
H 7.65923 -1.64512 -6.19663
H 8.59052 -2.61218 -5.07658
H 4.55780 -1.20907 -4.39316
H 5.52127 -0.85325 -5.82916
H 5.91000 -0.08034 -4.28614
H 7.28795 -2.60743 -0.39689
H 7.76993 -4.30845 -0.48865
H 6.08034 -3.84955 -0.73755
C -9.32214 3.81800 2.75891
C -9.17949 2.31217 3.09772
C -9.20529 2.04750 4.61371
C -7.89178 2.29319 5.35559
C -6.72737 1.61003 4.64283
C -6.61528 2.03155 3.17981

Wanted:
Your job: restate all of the block above exactly.

Result:
Computed, not measured: a 2-piece molecular cluster, C4H10O4S overall, with ωB97M-V/def2-TZVPD.

Values from the calculation:
- E (Ha) = -857.3407
- gap between HOMO and LUMO (spin up / spin down) (eV) = 5.21 / 7.84
- LUMO (spin up / spin down) (eV) = 0.780 / -2.779
- highest occupied orbital energy (spin up / spin down) (eV) = -4.43 / -10.62
- spin multiplicity = 3
- molecular weight (g mol⁻¹) = 154.19

```
19
C4H10O4S ωB97M-V/def2-TZVPD
C -2.7432 -1.3454 0.5960
C 4.1276 0.9518 -0.1846
C -2.8817 -0.0435 -0.1222
C 2.5577 0.8382 -0.1127
O -0.5011 -0.3660 -1.3844
O -0.4632 0.5518 0.8510
O 1.9111 0.7500 -1.1153
O 2.0871 0.9565 1.0487
S -1.2320 0.7163 -0.3865
H -2.3342 -1.2444 1.5312
H -3.6554 -2.0973 0.6131
H -1.9261 -1.9120 0.1557
H 4.4070 1.8209 0.2588
H 4.4118 0.8987 -1.1486
H 4.5866 0.0406 0.3333
H -3.5637 0.7912 0.1980
H -3.3263 -0.0618 -1.1726
H 0.4172 -0.0102 -1.2493
H 1.0944 0.8611 1.0670
```

~~~~~

No. 1
15
Properties=species:S:1:pos:R:3 method="wB97M-V/def2-TZVPD" molar_mass_g_mol=100.121 homo_ha=-0.24193
C -0.78758 -0.13778 0.21614
N -1.01568 -0.68769 1.39760
N -1.73467 -0.01447 -0.69825
C 1.22457 -0.39225 -1.26689
C 0.60234 0.27400 -0.06773
C 1.36963 0.71847 0.99399
O 2.41402 -0.36360 -1.50450
H -2.64442 -0.44126 -0.62230
H -1.93570 -0.92707 1.73385
H -0.19430 -0.72997 2.00093
H -1.45017 0.50249 -1.53273
H 0.51811 -0.97595 -1.88992
H 0.25975 1.05305 -1.37402
H 2.43956 0.77065 0.85523
H 0.93453 1.35137 1.75861

=====

No. 2
14
Properties=species:S:1:pos:R:3 method="wB97M-V/def2-TZVPD" total_charge=+1 molar_mass_g_mol=71.123 s2=0.7538 multiplicity=2 homo_ha="-0.49413 / -0.49208"
C 2.10778 0.03913 -1.22045
N 2.12129 -1.14105 -1.64818
H 2.47027 0.89178 -1.78811
H 1.62281 0.34473 -0.28297
H 1.58171 -1.77687 -1.06329
C -2.04574 -0.53428 0.36705
C -1.51370 0.82809 0.72712
C -0.50156 0.91876 1.65386
H -2.62177 -0.88838 1.22950
H -1.22934 -1.22686 0.17454
H -2.73386 -0.43774 -0.46820
H -2.11191 1.74320 0.64128
H -0.38056 1.63972 2.45625
H 0.33209 0.25179 1.40929

=====

No. 3
90
Properties=species:S:1:pos:R:3 method="wB97M-V/def2-TZVPD" molar_mass_g_mol=558.764 s2=2.0082 multiplicity=3 homo_ha="-0.28972 / -0.30574"
C 4.59849 -0.00442 0.59204
C 3.11628 -0.18834 0.25539
C 2.87386 0.26621 -1.17684
N 1.52291 0.03432 -1.71812
C 0.41503 0.08359 -0.86854
C -0.40471 -1.05220 -0.79213
C -1.54174 -1.09898 -0.01302
N -2.31891 -2.30573 -0.01865
C -1.88362 0.00832 0.75524
C -1.08890 1.13860 0.70988
C 0.05152 1.21033 -0.10952
C 0.79329 2.48538 -0.17239
O 1.58221 2.77769 -1.04061
C 0.49685 3.50963 0.89417
O 1.40503 4.51334 0.98204
C -0.57851 3.42227 1.67371
C -1.50314 2.29719 1.55319
O -2.56824 2.29434 2.13787
H 4.99339 0.84622 0.03184
H 5.18386 -0.86849 0.28300
H 4.76966 0.21114 1.64376
H 2.52384 0.40535 0.95351
H 2.83589 -1.23590 0.37334
H 3.55491 -0.29591 -1.81829
H 3.15546 1.31211 -1.26515
H 1.52056 -0.87754 -2.15425
H -0.15265 -1.94184 -1.35471
H -2.57335 -2.55693 0.92977
H -3.19198 -2.14461 -0.50869
H -2.76054 0.01260 1.38693
H 1.03731 5.34314 0.66068
H -0.79844 4.18273 2.41014
C 8.95374 -3.16434 -2.51449
C 7.43027 -3.42516 -2.40013
C 7.00456 -4.73324 -3.08962
C 6.83155 -4.66380 -4.60549
C 5.97051 -3.46740 -4.99795
C 6.52032 -2.15234 -4.45075
N 6.64616 -2.27465 -2.95813
O 5.52246 -2.10678 -2.36750
C 7.85163 -1.81861 -5.13748
C 5.56411 -1.00477 -4.75018
C 7.11049 -3.55042 -0.91466
H 9.19639 -2.32908 -3.16031
H 9.36664 -2.91378 -1.53751
H 9.48555 -4.04138 -2.88492
H 6.05216 -5.05201 -2.65563
H 7.73483 -5.50154 -2.82902
H 7.80134 -4.62762 -5.10848
H 6.34964 -5.58197 -4.94618
H 5.89268 -3.38641 -6.08448
H 4.95533 -3.61482 -4.61669
H 8.28591 -0.90876 -4.72095
H 7.65923 -1.64512 -6.19663
H 8.59052 -2.61218 -5.07658
H 4.55780 -1.20907 -4.39316
H 5.52127 -0.85325 -5.82916
H 5.91000 -0.08034 -4.28614
H 7.28795 -2.60743 -0.39689
H 7.76993 -4.30845 -0.48865
H 6.08034 -3.84955 -0.73755
C -9.32214 3.81800 2.75891
C -9.17949 2.31217 3.09772
C -9.20529 2.04750 4.61371
C -7.89178 2.29319 5.35559
C -6.72737 1.61003 4.64283
C -6.61528 2.03155 3.17981